What to do.
Please give back all of the rows underneath unchanged.

Listing.
(1)
# ErHSO5 (PBE, optimized geometry)
# Raw total energy   -6.720 eV per atom
# Calculated formation energy   -1964 kJ/mol of formula units
# Magnetization   0.000 μB/atom
data_ErHSO5
_chemical_formula_sum 'Er8 H8 S8 O40'
_cell_length_a 7.991
_cell_length_b 10.945
_cell_length_c 10.994
_cell_angle_alpha 90.00
_cell_angle_beta 132.31
_cell_angle_gamma 90.00
_space_group_name_H-M_alt 'P 1 21/c 1'
_space_group_IT_number 14
loop_
_space_group_symop_operation_xyz
'x,y,z'
'-x,-y,-z'
'-x,y+1/2,-z+1/2'
'x,-y+1/2,z+1/2'
loop_
_atom_site_label
_atom_site_fract_x
_atom_site_fract_y
_atom_site_fract_z
Er1 0.214 0.062 0.374
Er2 0.279 0.574 0.591
H1 0.028 0.123 0.869
H2 0.459 0.592 0.146
S1 0.135 0.170 0.635
S2 0.410 0.691 0.366
O1 0.032 0.545 0.631
O2 0.046 0.593 0.901
O3 0.096 0.200 0.158
O4 0.125 0.171 0.496
O5 0.231 0.628 0.352
O6 0.318 0.738 0.204
O7 0.358 0.126 0.784
O8 0.407 0.103 0.072
O9 0.484 0.014 0.357
O10 0.497 0.705 0.981


(2)
# ErH3S3O12 (PBE, optimized geometry)
# Raw total energy   -6.151 eV per atom
# Energy above the lowest structure with this stoichiometry   0.79 kJ/mol of atoms
# Calculated formation energy   -3723 kJ/mol of formula units
# Magnetization   0.000 μB/atom
data_ErH3S3O12
_chemical_formula_sum 'Er4 H12 S12 O48'
_cell_length_a 5.254
_cell_length_b 13.742
_cell_length_c 13.354
_cell_angle_alpha 90.00
_cell_angle_beta 110.75
_cell_angle_gamma 90.00
_space_group_name_H-M_alt 'P 1 21/c 1'
_space_group_IT_number 14
loop_
_space_group_symop_operation_xyz
'x,y,z'
'-x,-y,-z'
'-x,y+1/2,-z+1/2'
'x,-y+1/2,z+1/2'
loop_
_atom_site_label
_atom_site_fract_x
_atom_site_fract_y
_atom_site_fract_z
Er1 0.247 0.195 0.478
H1 0.018 0.509 0.382
H2 0.236 0.641 0.779
H3 0.381 0.577 0.316
S1 0.118 0.560 0.891
S2 0.222 0.623 0.494
S3 0.455 0.701 0.229
O1 0.006 0.193 0.042
O2 0.076 0.600 0.776
O3 0.126 0.089 0.587
O4 0.140 0.045 0.384
O5 0.178 0.553 0.394
O6 0.179 0.711 0.149
O7 0.229 0.565 0.585
O8 0.333 0.212 0.317
O9 0.363 0.608 0.966
O10 0.484 0.732 0.819
O11 0.485 0.668 0.504
O12 0.496 0.594 0.272

* * * * *

(1)
Li3Fe2As3O12: optimized geometry, PBE with a Hubbard U.

Structure (POSCAR):
```
Li3Fe2As3O12
1.0
8.765 0.000 0.000
0.000 9.094 0.000
-8.598 0.000 12.455
Li Fe As O
12 8 12 48
Cartesian
7.203 2.007 2.257
2.904 2.540 8.485
-2.737 6.553 3.970
-7.035 7.087 10.197
-4.797 0.079 10.500
-0.499 4.468 4.273
0.693 0.793 3.779
-3.606 3.754 10.006
3.773 5.339 2.449
-0.525 8.301 8.676
0.666 4.626 8.181
4.965 9.015 1.954
-2.161 0.298 4.838
-6.460 4.249 11.066
2.166 0.213 1.302
-2.132 4.334 7.529
2.300 4.760 4.926
-1.999 8.881 11.153
6.628 4.845 1.389
2.329 8.796 7.616
-5.266 5.593 8.012
-0.967 8.047 1.785
-3.261 1.098 8.087
1.038 3.449 1.859
-4.555 6.804 12.343
-0.256 6.837 6.116
0.423 2.257 6.339
4.722 2.290 0.111
-0.870 5.645 10.595
3.428 7.995 4.368
1.135 1.046 10.670
5.433 3.501 4.442
-1.497 6.530 2.390
-5.796 7.111 8.617
-1.077 0.125 3.064
-5.376 4.422 9.291
-4.883 0.723 8.611
-0.584 3.824 2.384
-3.094 0.793 6.430
1.204 3.754 0.203
-3.697 5.577 7.361
0.602 8.063 1.134
-6.399 0.470 11.753
-2.100 4.077 5.525
-5.956 6.144 11.596
-1.657 7.496 5.369
1.058 1.730 2.058
-3.241 2.817 8.286
-0.388 1.060 5.419
-4.687 3.487 11.646
0.620 6.035 4.875
-3.678 7.606 11.102
-2.156 0.207 9.046
2.143 4.340 2.819
-0.753 5.771 7.384
3.546 7.870 1.156
-3.379 1.224 11.298
0.920 3.323 5.071
-1.976 4.754 9.635
2.323 8.886 3.408
3.846 1.488 1.352
-0.453 3.059 7.580
4.854 5.607 0.808
0.556 8.034 7.036
3.408 6.277 4.169
-0.891 7.364 10.396
1.824 1.598 7.085
6.123 2.949 0.858
2.267 5.016 6.929
6.566 8.624 0.702
-0.434 1.031 11.321
3.865 3.516 5.093
-1.037 5.340 12.251
3.262 8.301 6.024
0.752 5.270 10.071
5.051 8.370 3.844
5.543 4.672 3.164
1.245 8.968 9.391
5.963 1.983 3.837
1.665 2.564 10.065
```

***

(2)
LiFeAsO4: optimized geometry, PBE with a Hubbard U.

Structure (POSCAR):
```
LiFeAsO4
1.0
10.733 0.000 0.000
0.000 6.168 0.000
0.000 0.000 4.953
Li Fe As O
4 4 4 16
Cartesian
0.000 0.000 0.000
0.000 3.084 0.000
5.367 0.000 2.477
5.367 3.084 2.477

Completed.
(1)
# ErHSO5 (PBE, optimized geometry)
# Raw total energy   -6.720 eV per atom
# Calculated formation energy   -1964 kJ/mol of formula units
# Magnetization   0.000 μB/atom
data_ErHSO5
_chemical_formula_sum 'Er8 H8 S8 O40'
_cell_length_a 7.991
_cell_length_b 10.945
_cell_length_c 10.994
_cell_angle_alpha 90.00
_cell_angle_beta 132.31
_cell_angle_gamma 90.00
_space_group_name_H-M_alt 'P 1 21/c 1'
_space_group_IT_number 14
loop_
_space_group_symop_operation_xyz
'x,y,z'
'-x,-y,-z'
'-x,y+1/2,-z+1/2'
'x,-y+1/2,z+1/2'
loop_
_atom_site_label
_atom_site_fract_x
_atom_site_fract_y
_atom_site_fract_z
Er1 0.214 0.062 0.374
Er2 0.279 0.574 0.591
H1 0.028 0.123 0.869
H2 0.459 0.592 0.146
S1 0.135 0.170 0.635
S2 0.410 0.691 0.366
O1 0.032 0.545 0.631
O2 0.046 0.593 0.901
O3 0.096 0.200 0.158
O4 0.125 0.171 0.496
O5 0.231 0.628 0.352
O6 0.318 0.738 0.204
O7 0.358 0.126 0.784
O8 0.407 0.103 0.072
O9 0.484 0.014 0.357
O10 0.497 0.705 0.981


(2)
# ErH3S3O12 (PBE, optimized geometry)
# Raw total energy   -6.151 eV per atom
# Energy above the lowest structure with this stoichiometry   0.79 kJ/mol of atoms
# Calculated formation energy   -3723 kJ/mol of formula units
# Magnetization   0.000 μB/atom
data_ErH3S3O12
_chemical_formula_sum 'Er4 H12 S12 O48'
_cell_length_a 5.254
_cell_length_b 13.742
_cell_length_c 13.354
_cell_angle_alpha 90.00
_cell_angle_beta 110.75
_cell_angle_gamma 90.00
_space_group_name_H-M_alt 'P 1 21/c 1'
_space_group_IT_number 14
loop_
_space_group_symop_operation_xyz
'x,y,z'
'-x,-y,-z'
'-x,y+1/2,-z+1/2'
'x,-y+1/2,z+1/2'
loop_
_atom_site_label
_atom_site_fract_x
_atom_site_fract_y
_atom_site_fract_z
Er1 0.247 0.195 0.478
H1 0.018 0.509 0.382
H2 0.236 0.641 0.779
H3 0.381 0.577 0.316
S1 0.118 0.560 0.891
S2 0.222 0.623 0.494
S3 0.455 0.701 0.229
O1 0.006 0.193 0.042
O2 0.076 0.600 0.776
O3 0.126 0.089 0.587
O4 0.140 0.045 0.384
O5 0.178 0.553 0.394
O6 0.179 0.711 0.149
O7 0.229 0.565 0.585
O8 0.333 0.212 0.317
O9 0.363 0.608 0.966
O10 0.484 0.732 0.819
O11 0.485 0.668 0.504
O12 0.496 0.594 0.272

* * * * *

(1)
Li3Fe2As3O12: optimized geometry, PBE with a Hubbard U.

Structure (POSCAR):
```
Li3Fe2As3O12
1.0
8.765 0.000 0.000
0.000 9.094 0.000
-8.598 0.000 12.455
Li Fe As O
12 8 12 48
Cartesian
7.203 2.007 2.257
2.904 2.540 8.485
-2.737 6.553 3.970
-7.035 7.087 10.197
-4.797 0.079 10.500
-0.499 4.468 4.273
0.693 0.793 3.779
-3.606 3.754 10.006
3.773 5.339 2.449
-0.525 8.301 8.676
0.666 4.626 8.181
4.965 9.015 1.954
-2.161 0.298 4.838
-6.460 4.249 11.066
2.166 0.213 1.302
-2.132 4.334 7.529
2.300 4.760 4.926
-1.999 8.881 11.153
6.628 4.845 1.389
2.329 8.796 7.616
-5.266 5.593 8.012
-0.967 8.047 1.785
-3.261 1.098 8.087
1.038 3.449 1.859
-4.555 6.804 12.343
-0.256 6.837 6.116
0.423 2.257 6.339
4.722 2.290 0.111
-0.870 5.645 10.595
3.428 7.995 4.368
1.135 1.046 10.670
5.433 3.501 4.442
-1.497 6.530 2.390
-5.796 7.111 8.617
-1.077 0.125 3.064
-5.376 4.422 9.291
-4.883 0.723 8.611
-0.584 3.824 2.384
-3.094 0.793 6.430
1.204 3.754 0.203
-3.697 5.577 7.361
0.602 8.063 1.134
-6.399 0.470 11.753
-2.100 4.077 5.525
-5.956 6.144 11.596
-1.657 7.496 5.369
1.058 1.730 2.058
-3.241 2.817 8.286
-0.388 1.060 5.419
-4.687 3.487 11.646
0.620 6.035 4.875
-3.678 7.606 11.102
-2.156 0.207 9.046
2.143 4.340 2.819
-0.753 5.771 7.384
3.546 7.870 1.156
-3.379 1.224 11.298
0.920 3.323 5.071
-1.976 4.754 9.635
2.323 8.886 3.408
3.846 1.488 1.352
-0.453 3.059 7.580
4.854 5.607 0.808
0.556 8.034 7.036
3.408 6.277 4.169
-0.891 7.364 10.396
1.824 1.598 7.085
6.123 2.949 0.858
2.267 5.016 6.929
6.566 8.624 0.702
-0.434 1.031 11.321
3.865 3.516 5.093
-1.037 5.340 12.251
3.262 8.301 6.024
0.752 5.270 10.071
5.051 8.370 3.844
5.543 4.672 3.164
1.245 8.968 9.391
5.963 1.983 3.837
1.665 2.564 10.065
```

***

(2)
LiFeAsO4: optimized geometry, PBE with a Hubbard U.

Structure (POSCAR):
```
LiFeAsO4
1.0
10.733 0.000 0.000
0.000 6.168 0.000
0.000 0.000 4.953
Li Fe As O
4 4 4 16
Cartesian
0.000 0.000 0.000
0.000 3.084 0.000
5.367 0.000 2.477
5.367 3.084 2.477